Record Content

From Guide

Open your DISH Anywhere app and make sure you're logged in before following the steps below.

  1. Select Guide.

    Guide navigation option at the bottom of the DISH Anywhere phone app
  2. If applicable, select a Guide category.

    Category drop-down above the guide, with a list of categories like Movies, Shows, and Family
  3. If applicable, select the date that the event will air on.

    Date drop-down above the guide
  4. If applicable, swipe to your desired time.

    Time of day in half-hour increments at the top of the guide
  5. Swipe to and select the program you want to record.

    Channel guide in the DISH Anywhere phone app
  6. Select the Record icon.

    Button to record the selected program
  7. If applicable, select New Episodes or All Episodes.

    Recording options for the selected program
  8. You will see a confirmation of your timer.

    Confirmation alert at bottom of screen

Open your DISH Anywhere app and make sure you're logged in before following the steps below.

Unrelated to this entry: calculated crystals
********
Simulated X-ray diffraction stick pattern
Compound: Zr5Ag24
Radiation: Cu Kα (λ = 1.5418 Å)
Structure: a cell relaxed with GGA-PBE

Principal peaks in the range 10 to 90 degrees two-theta, sorted by position:
2θ (°), I_rel
34.84, 10
37.03, 100
41.11, 32
43.02, 10
44.87, 20
62.47, 5
63.91, 10
66.74, 24
68.13, 6
78.86, 8

Crystal structure
```
Zr5Ag24
1.0
-5.1497 5.1497 5.1497
5.1497 -5.1497 5.1497
5.1497 5.1497 -5.1497
Zr Ag
5 24
direct
0.0000 0.0000 0.0000 Zr
0.0000 0.0000 0.6448 Zr
0.0000 0.6448 0.0000 Zr
0.3552 0.3552 0.3552 Zr
0.6448 0.0000 0.0000 Zr
0.0000 0.1901 0.3763 Ag
0.0000 0.3763 0.1901 Ag
0.0000 0.4046 0.6829 Ag
0.0000 0.6829 0.4046 Ag
0.1862 0.8099 0.8099 Ag
0.1901 0.0000 0.3763 Ag
0.1901 0.3763 0.0000 Ag
0.2784 0.5954 0.5954 Ag
0.3171 0.3171 0.7216 Ag
0.3171 0.7216 0.3171 Ag
0.3763 0.0000 0.1901 Ag
0.3763 0.1901 0.0000 Ag
0.4046 0.0000 0.6829 Ag
0.4046 0.6829 0.0000 Ag
0.5954 0.2784 0.5954 Ag
0.5954 0.5954 0.2784 Ag
0.6237 0.6237 0.8138 Ag
0.6237 0.8138 0.6237 Ag
0.6829 0.0000 0.4046 Ag
0.6829 0.4046 0.0000 Ag
0.7216 0.3171 0.3171 Ag
0.8099 0.1862 0.8099 Ag
0.8099 0.8099 0.1862 Ag
0.8138 0.6237 0.6237 Ag
```
********

  1. Select Guide.

    Guide navigation option at the bottom of the DISH Anywhere tablet app
  2. If applicable, select a Guide category.

    Category options above the guide
  3. If applicable, select the date that the event will air on.

    Date menu on the guide
  4. If applicable, swipe to your desired time.

    Time of day in half-hour increments at the top of the guide
  5. Swipe to and select the program you want to record.

    Channel guide in the DISH Anywhere tablet app
  6. Select the Record icon.

    Button to record the selected program
  7. If applicable, select New Episodes or All Episodes.

    Options to select new, all, or this episode
  8. You will see a confirmation of your timer.

    Recording timer confirmation message

Visit and log in with your username and password.

  1. Select Guide.

    Guide navigation option at the top of the DISH Anywhere website
  2. If applicable, select your desired category.

    Categories like Movies, Shows, and Family above the guide
  3. If applicable, select your desired day.

_Unrelated to this page: calculated crystals_
+++
Diffraction record for Li12Fe3CoP4C4O28. The powder X-ray diffraction pattern is simulated, not measured: it uses a GGA+U-relaxed structure and Cu Kα, 1.54184 Å.
No peak broadening, texture or thermal motion is included.

Structural model:
```
data_Li12Fe3CoP4C4O28
_symmetry_space_group_name_H-M 'P 1 m 1'
_symmetry_Int_Tables_number 6
_symmetry_space_group_name_Hall 'P -2y'
_cell_length_a 8.4972
_cell_length_b 6.4830
_cell_length_c 10.0307
_cell_angle_alpha 90.00
_cell_angle_beta 95.21
_cell_angle_gamma 90.00
loop_
_atom_site_label
_atom_site_type_symbol
_atom_site_fract_x
_atom_site_fract_y
_atom_site_fract_z
Li1 Li 0.0000 0.0000 0.0000
Li2 Li 0.0004 0.0000 0.4997
Li3 Li 0.1804 0.2285 0.2548
Li4 Li 0.1799 0.2281 0.7578
Li5 Li 0.6306 0.2720 0.0066
Li6 Li 0.6309 0.2716 0.5054
Li7 Li 0.8086 0.5000 0.2638
Li8 Li 0.8106 0.5000 0.7617
Fe1 Fe 0.2387 0.5000 0.4874
Fe2 Fe 0.5714 0.0000 0.2744
Fe3 Fe 0.5719 0.0000 0.7758
Co1 Co 0.2392 0.5000 0.9860
P1 P 0.3169 0.0000 0.0215
P2 P 0.3172 0.0000 0.5217
P3 P 0.4924 0.5000 0.2394
P4 P 0.4930 0.5000 0.7422
C1 C 0.8715 0.0000 0.2310
C2 C 0.8714 0.0000 0.7309
C3 C 0.9396 0.5000 0.5309
C4 C 0.9434 0.5000 0.0306
O1 O 0.0174 0.0000 0.2025
O2 O 0.0172 0.0000 0.7022
O3 O 0.0528 0.5000 0.6278
O4 O 0.0592 0.5000 0.1253
O5 O 0.2144 0.1874 0.9683
O6 O 0.2146 0.1869 0.4682
O7 O 0.3272 0.5000 0.2906
O8 O 0.3267 0.5000 0.7926
O9 O 0.3337 0.0000 0.1779
O10 O 0.3343 0.0000 0.6780
O11 O 0.4735 0.5000 0.0830
O12 O 0.4758 0.5000 0.5861
O13 O 0.4836 0.0000 0.4715
O14 O 0.4840 0.0000 0.9727
O15 O 0.5961 0.3133 0.7956
O16 O 0.5962 0.3135 0.2923
O17 O 0.7575 0.0000 0.6342
O18 O 0.7579 0.0000 0.1341
O19 O 0.7931 0.5000 0.5595
O20 O 0.7978 0.5000 0.0610
O21 O 0.8347 0.0000 0.3535
O22 O 0.8348 0.0000 0.8535
O23 O 0.9758 0.5000 0.4085
O24 O 0.9786 0.5000 0.9077
```

The 8 most intense peaks (2θ from 10° to 80°), sorted by position:
d 8.462, I = 83, (1 0 0)
d 5.146, I = 24, (1 1 0)
d 4.483, I = 38, (1 0 -2)
d 4.140, I = 49, (1 0 2)
d 3.384, I = 35, (2 0 -2)
d 3.242, I = 100, (0 2 0)
d 2.457, I = 28, (1 0 -4)
d 2.222, I = 22, (3 1 2)
+++

    Date drop-down above the guide
  4. If applicable, arrow to and select to your desired time.

    Time of day in half-hour increments at the top of the guide
  5. Select the program you want to record.

    Channel guide on the DISH Anywhere website
  6. Select Record if you want to set a one-time recording.

    Button to record the selected program
  7. Select Rec Options if you want to set a timer.

    Button to set recording options for the selected program
  8. Choose your settings and select Set Timer.

    Recording options like when to start and end and how many to keep

  1. Select Guide.

    Guide button on the top of DISH Anywhere app
  2. Locate the channel the program will be on.

    Channel guide on the DISH Anywhere app
  3. If applicable, scroll to the right to select the correct date and time, then select the record icon.

    Button to record selected instance of program
  4. If applicable, select the desired timer settings.

    Recording options and settings for the selected program
  5. Recording successfully set message will appear.

    Recording timer confirmation message

From Search

Open your DISH Anywhere app and make sure you're logged in before following the steps below.

  1. Select the Search icon from the home screen

    Magnifying glass icon at the top of the DISH Anywhere phone app home screen
  2. Enter your desired search term and select Search.

    Search term entered in the search bar at the top of the DISH Anywhere phone app
  3. As you type, a drop-down will appear with predictive content based on what you have typed in the Search field. You may also select the program you want to watch from this drop-down.

    List of possible titles based on your search term
  4. From the landing page press the record icon.

    Button to record the selected program
  5. If applicable, select New Episodes or All Episodes.

    Option to record new episodes or all episodes
  6. You will see a confirmation of your timer.

    Confirmation alert of scheduled recording

Open your DISH Anywhere app and make sure you're logged in before following the steps below.

  1. Select the Search icon from the home screen

    Magnifying glass icon at the top of the DISH Anywhere tablet app home screen
  2. Enter your desired search term and select Search.

    Search term entered in the search bar at the top of the DISH Anywhere tablet app
  3. As you type, a drop-down will appear with predictive content based on what you have typed in the Search field. You may also select the program you want to watch from this drop-down.

    List of possible titles based on your search term
  4. From the landing page press the record icon.

    Option to record on program details page
  5. If applicable, select New Episodes or All Episodes.

    Options to select new episodes or all episodes
  6. You will see a confirmation of your timer.

    Recording timer confirmation message

Visit and log in with your username and password.

  1. Select the magnifying glass icon.

    Magnifying glass icon at the top of the DISH Anywhere website screen
  2. Enter your desired search term and press Enter/Return on your keyboard.

    Search term entered in the search bar at the top of the DISH Anywhere website
  3. As you type, a drop-down will appear with predictive content based on what you have typed in the Search field. You may also select the program you want to watch from this drop-down.

    List of possible titles based on your search term
  4. Select the program you want to record.

    Grid of programs matching the search term
  5. If applicable, select the episode you want to record from the guide carousel.

    button to record the selected program
  6. Select Record if you want to set a one-time recording.

    Button to record the selected program
  7. Select Rec Options if you want to set a timer.

    Button to set recording options for the selected program
  8. Choose your settings and select Set Timer.

    Recording options like when to start and end and how many to keep

  1. Select Search.

    Magnifying glass icon at the top of the DISH Anywhere app
  2. Type in the name of the program you want to record.

    Search term entered in the search bar at the top of the DISH Anywhere app
  3. Highlight and select the desired program.

    List of possible titles based on your search term
  4. Highlight and select the record option on the program's landing page. If applicable, select the desired timer settings after the record option is selected.

    Recording options and settings for the selected program
  5. Recording successfully set message will appear.

    Recording timer confirmation message

From Sports

Open your DISH Anywhere app and make sure you're logged in before following the steps below.

  1. Select Sports.

    Sports navigation option at the bottom of the DISH Anywhere phone app
  2. Locate the game you wish to record.

    Grid of upcoming sports games to record
  3. Select the record icon.

    Button to record the selected game
  4. Select your desired timer settings, then Save.

    Options for how to record the selected game
  5. "Recording successfully set" message will appear.

    Confirmation alert of scheduled recording

Open your DISH Anywhere app and make sure you're logged in before following the steps below.

  1. Select Sports.

    Sports navigation option at the bottom of the DISH Anywhere tablet app
  2. Locate the game you wish to record.

    Grid of games available
  3. Select the record icon.

    Option to record on the program details page
  4. Select your desired timer settings, then Save.

    Recording options and settings for the selected game
  5. "Recording successfully set" message will appear.

    Recording timer confirmation message

Visit and log in with your username and password.

  1. Select Sports.

    Sports navigation option at the top of the DISH Anywhere website
  2. If applicable, select your desired sport.

    Sport filter drop-down at the top of the screen
  3. If applicable, select your desired Sort option.

    Sort by drop-down at the top of the screen
  4. If applicable, select your desired date.

    Date buttons at the top of the screen
  5. Select the game you want to record.

    Grid of games matching the selected sport
  6. Select Record.

    Button to record the selected game
  7. Choose your settings and select Set Timer.

    Recording options like when to start and end and how many to keep